Chapter 18 More Example Split-Plot Experiments

Example 1:

Researchers were interested in studying how soil moisture level affects the ability of plants to respond to a virus infection. A total of 30 pots were assigned to three watering levels (1 = low, 2 = medium, 3 = high) using a balanced and completely randomized design. Each of the 30 pots contained four seedlings. Two randomly selected seedlings within each pot were injected with a virus. The remaining two seedlings in each pot were “mock infected” by injection with a harmless substance. Two weeks after treatment, each seedling was individually weighed, and these weights served as the response variable for subsequent analysis.

  • Notation:

    • \(i = 1, 2, 3\): watering levels
    • \(j = 1, \ldots, 10\): pots within each watering levels
    • \(k = 1, 2\) : infections (control, virus)
    • \(l = 1, 2\): seedlings within watering level, pot, and infection
  • Model: \[ y_{ijkl} = \mu_{ik} + p_{ij} + e_{ijkl} \] where \(p_{ij} \sim N(0, \sigma_p^2)\), \(e_{ijkl} \sim N(0, \sigma_e^2)\).

  • ANOVA Table:

    Source DF
    wl 2
    pot(wl) 27
    inf 1
    wl\(\times\) inf 2
    error 87 119
  • SAS Code

## Between two parts of the page: records of crystals
The following is a DFT calculation (PBE) of an optimized crystal structure of NaCuPRu.

Results
ρ in Mg/m³: 4.70
Formation energy from the elements in eV/atom: -0.167

```
data_NaCuPRu
_space_group_name_H-M_alt 'P 4/n m m'
_space_group_IT_number 129
_cell_length_a 3.849
_cell_length_b 3.849
_cell_length_c 10.416
_cell_angle_alpha 90.00
_cell_angle_beta 90.00
_cell_angle_gamma 90.00
loop_
_space_group_symop_operation_xyz
'x,y,z'
'-x,-y,-z'
'-y+1/2,x,z'
'y+1/2,-x,-z'
'-x+1/2,-y+1/2,z'
'x+1/2,y+1/2,-z'
'y,-x+1/2,z'
'-y,x+1/2,-z'
'x+1/2,-y,-z'
'-x+1/2,y,z'
'-y,-x,-z'
'y,x,z'
'-x,y+1/2,-z'
'x,-y+1/2,z'
'y+1/2,x+1/2,-z'
'-y+1/2,-x+1/2,z'
loop_
_atom_site_label
_atom_site_type_symbol
_atom_site_fract_x
_atom_site_fract_y
_atom_site_fract_z
Na1 Na 0.250 0.250 0.236
Cu1 Cu 0.250 0.750 0.000
P1 P 0.250 0.250 0.626
Ru1 Ru 0.250 0.750 0.500
```

---

The following is a DFT calculation (PBE) of an optimized crystal structure of ZrAu2I.

Results
ρ in Mg/m³: 11.23
ΔE_f (raw) in eV per atom: 0.1951
Excess energy over the best structure of this formula in the dataset in meV/atom: 244

```
data_ZrAu2I
_space_group_name_H-M_alt 'F m -3 m'
_space_group_IT_number 225
_space_group_name_Hall '-F 4 2 3'
_cell_length_a 7.126
_cell_length_b 7.126
_cell_length_c 7.126
_cell_angle_alpha 90.00
_cell_angle_beta 90.00
_cell_angle_gamma 90.00
loop_
_atom_site_label
_atom_site_type_symbol
_atom_site_fract_x
_atom_site_fract_y
_atom_site_fract_z
Zr1 Zr 0.000 0.000 0.000
Au1 Au 0.250 0.250 0.250
I1 I 0.000 0.000 0.500
```

---

The following is a DFT calculation (PBE) of an optimized crystal structure of SiNi.

Results
ρ in Mg/m³: 6.01
ΔE_f (raw) in eV per atom: -0.2943

```
data_SiNi
_space_group_name_H-M_alt 'I m m m'
_space_group_IT_number 71
_space_group_name_Hall '-I 2 2'
_cell_length_a 3.275
_cell_length_b 3.746
_cell_length_c 11.733
_cell_angle_alpha 90.00
_cell_angle_beta 90.00
_cell_angle_gamma 90.00
loop_
_atom_site_label
_atom_site_type_symbol
_atom_site_fract_x
_atom_site_fract_y
_atom_site_fract_z
Si1 Si 0.000 0.000 0.000
Si2 Si 0.000 0.500 0.162
Ni1 Ni 0.000 0.000 0.500
Ni2 Ni 0.000 0.500 0.359
```

  proc mixed; 
    class wl pot inf; 
    model y = wl inf wl*inf / ddfm = satterth; 
    random pot(wl); 
Example 2:

Researchers were interested in studying how soil moisture level affects the ability of plants to respond to a virus infection. A total of 30 trays were assigned to three watering levels (1 = low, 2 = medium, 3 = high) using a balanced and completely randomized design. Each of the 30 trays contained two pots. Each of the 60 pots contained two seedlings. The two seedlings in one randomly selected pot in each tray were injected with a virus. The two seedlings in the other pot on a given tray were “mock infected” by injection with a harmless substance. Two weeks after treatment, each seedling was individually weighed, and these weights served as the response variable for subsequent analysis.

  • Notation:

    • \(i = 1, 2, 3\): watering levels
    • \(j = 1, \ldots, 10\): trays within each watering level
    • \(k = 1, 2\) : infections (control, virus)
    • \(l = 1, 2\): seedlings within watering level, pot, and infection
  • Model: \[ y_{ijkl} = \mu_{ik} + t_{ij} + p_{ijk} + e_{ijkl} \] where \(t_{ij} \sim N(0, \sigma_t^2)\), \(p_{ijk} \sim N(0, \sigma_p^2)\), \(e_{ijkl} \sim N(0, \sigma_e^2)\).

  • ANOVA Table

    Source DF
    wl 2
    tray(wl) 27
    inf 1
    wl\(\times\) inf 2
    inf\(\times\)tray(wl) 27
    error 60 119
  • SAS Code

  proc mixed; 
    class wl tray inf; 
    model y = wl inf wl*inf/ ddfm = satterth; 
    random tray(wl) inf*tray(wl); 
Example 3:

Researchers were interested in studying how soil moisture level affects the ability of plants to respond to a virus infection. A total of 30 trays were assigned to three watering levels (1 = low, 2 = medium, 3 = high) using a balanced and completely randomized design. Each of the 30 trays contained two pots. Each of the 60 pots contained two seedlings. In each pot, one of the two seedlings was randomly selected and injected with a virus; the other seedling in the pot was “mock infected” by injection with a harmless substance. Two weeks after treatment, each seedling was individually weighed, and these weights served as the response variable for subsequent analysis.

* Notation:

  • \(i = 1, 2, 3\): watering levels

  • \(j = 1, \ldots, 10\): trays within each watering level

  • \(k = 1, 2\) : pots within watering levels and trays

  • \(l = 1, 2\): infections (control, virus)

  • Model \[ y_{ijkl} = \mu_{ik} + t_{ij} + p_{ijk} + e_{ijkl} \]

  • ANOVA Table

    Source DF
    wl 2
    tray(wl) 27
    pot(wl tray) 30
    inf 1
    wl\(\times\)inf 2
    error 57 119
  • SAS Code

  proc mixed; 
    class wl tray pot inf; 
    model y = wl inf wl*inf / ddfm = satterth;
    random tray(wl) pot(wl tray); 
Example 4:

Researchers were interested in determining which combination of cake recipe and frosting recipe would yield the best tasting frosted cake. Two cake recipes (labeled CR1 and CR2) and two frosting recipes (labeled FR1 and FR2) were considered. The two cake recipes were randomly assigned to four bakers with two bakers for each cake recipe. Each baker prepared and baked a cake according to the recipe he or she was assigned. While cakes were baking and cooling, each baker prepared one batch of frosting using each of the frosting recipes. Half of each cake was randomly selected and covered with frosting prepared using FR1. The other half of each cake was covered with frosting prepared using FR2.

Two pieces of frosted cake from each half of each cake were scored for taste, with higher scores indicating better tasting frosted cake. The following diagram shows the four cakes baked by the four bakers as large rectangles. The dashed line on each rectangle shows the dividing point that separates FR1 frosting from FR2 frosting. The numbered squares within each rectangle show the pieces of frosted cake that were scored for taste.

  • Notation:

    • \(i = 1, 2\): cake recipes
    • \(j = 1, 2\): bakers within each cake recipe
    • \(k = 1, 2\) : frosting recipes
    • \(l = 1, 2\): pieces of cake within each half cake
  • Model \[ y_{ijkl} = \mu_{ik} + b_{ij} + h_{ijk} + e_{ijkl} \] where \(b_{11}, b_{12}, b_{21}, b_{22} \sim N(0, \sigma_{b}^2)\), \(h_{111}, \ldots, h_{222} \sim N(0, \sigma_h^2)\), \(e_{ijkl} \sim N(0, \sigma_e^2)\).

  • SAS Code

  proc mixed;
    class cr baker fr;
    model y=cr fr cr*fr / ddfm=satterth;
    random baker(cr) fr*baker(cr);
  • ANOVA Table

    Source DF
    cr 1
    baker(cr) = whole plot error 2
    fr 1
    cr\(\times\)fr 1
    fr\(\times\)baker(fr) 2
    error = piece(cr, baker, fr) 8 15
Example 5:

In the context of the frosted cake example (Example 4), a statistician is asked to analyze the data. The statistician asks, “How was the score for each piece of cake determined?”

Answer: Two pieces of frosted cake from each half of each cake were cut and delivered to eight trained judges for evaluation. Each judge tasted and separately assigned a score to two pieces of frosted cake. In the following diagram, the numbers 1 through 8 indicate the pieces of cake scored by judges 1 through 8, respectively.

  • Notation:

    • \(i = 1, 2\): cake recipes
    • \(j = 1, 2\): bakers within each cake recipe
    • \(k = 1, 2\) : frosting recipes
    • \(l = 1, 2\): pieces of cake within each half cake
  • Model \[ y_{ijkl} = \mu_{ik} + b_{ij} + h_{ijk} + t_l + e_{ijkl} \] where \(b_{11}, b_{12}, b_{21}, b_{22} \sim N(0, \sigma_{b}^2)\), \(h_{111}, \ldots, h_{222} \sim N(0, \sigma_h^2)\), \(t_1, \ldots, t_8 \sim N(0, \sigma_t^2)\), \(e_{ijkl} \sim N(0, \sigma_e^2)\).

____________
The following is a DFT calculation (PBE-GGA) of a relaxed GaSi2OsRh crystal.

Calculated total energy in eV/atom: -4.967
Uncorrected formation energy in eV per atom: 1.524
Crystal system: tetragonal
Spin magnetization in μB/atom: 0.1579
Polymorph energy (0 for the lowest one) in eV per atom: 0.577
Volume in Å³/cell: 89.5

Cell lengths 4.495, 4.430, 4.495 Å; angles 90.00, 90.00, 90.00 degrees
Last column: magnetic moment on the atom in μB.
Atoms (fractional coordinates):
Rh (0.000, 0.500, 0.000)  0.10
Si (0.000, 0.000, 0.500)  0.01
Si (0.500, 0.000, 0.000)  -0.01
Os (0.500, 0.500, 0.500)  0.64
Ga (0.000, 0.000, 0.000)  0.01

* * * * *

The following is a GGA-PBE calculation of a relaxed structure of Ba2UPdS6, from the Alexandria database.

Cell: 7.3515 7.3515 6.8689 Å, 117.21 117.21 54.93°
Last column: nearest neighbours and their distance in Å.
Atoms (fractional coordinates):
Ba  0.2499  0.2499  0.2275  7 S 3.13-3.47
Ba  0.7501  0.7501  0.7725  7 S 3.13-3.47
U  0.5000  0.5000  0.0000  6 S 2.50-2.57
Pd  0.0000  0.0000  0.5000  4 S 2.36
S  0.1940  0.7190  0.2174  1 Pd 2.36, 1 U 2.57
S  0.2808  0.2808  0.7110  1 U 2.50
S  0.2810  0.8060  0.7826  1 Pd 2.36, 1 U 2.57
S  0.7190  0.1940  0.2174  1 Pd 2.36, 1 U 2.57
S  0.7192  0.7192  0.2890  1 U 2.50
S  0.8060  0.2810  0.7826  1 Pd 2.36, 1 U 2.57

Output
As for the energy relative to the elements, uncorrected: -1.3608 eV/atom. Its total moment is 0.000 μB/cell.


The following is a GGA-PBE calculation of a relaxed structure of Ba2UPdS5, from the Alexandria database.

Cell: 9.2198 9.2198 12.9391 Å, 90.00 90.00 154.48°
Last column: nearest neighbours and their distance in Å.
Atoms (fractional coordinates):
Ba  0.1166  0.8834  0.5000  5 S 3.07-3.31
Ba  0.1177  0.8823  0.1345  7 S 3.05-3.39
Ba  0.8823  0.1177  0.6345  7 S 3.05-3.39
Ba  0.8834  0.1166  0.0000  5 S 3.07-3.31
U  0.1955  0.8045  0.8225  6 S 2.56-2.71
U  0.8045  0.1955  0.3225  6 S 2.56-2.71
Pd  0.4327  0.5673  0.2380  4 S 2.40-2.48
Pd  0.5673  0.4327  0.7380  4 S 2.40-2.48
S  0.0535  0.9465  0.8341  2 Pd 2.40, 1 U 2.56
S  0.2985  0.7015  0.4602  2 U 2.71
S  0.2997  0.7003  0.1861  1 Pd 2.48, 2 U 2.70
S  0.3394  0.6606  0.8185  1 U 2.59
S  0.4994  0.5006  0.0745  1 Pd 2.43
S  0.5006  0.4994  0.5745  1 Pd 2.43
S  0.6606  0.3394  0.3185  1 U 2.59
S  0.7003  0.2997  0.6861  1 Pd 2.48, 2 U 2.70
S  0.7015  0.2985  0.9602  2 U 2.71
S  0.9465  0.0535  0.3341  2 Pd 2.40, 1 U 2.56

Output
As for the energy relative to the elements, uncorrected: -1.4754 eV/atom. Its total moment is 1.370 μB/cell.
____________

  • SAS Code

    proc mixed;
      class cr baker fr judge;
      model y=cr fr cr*fr / ddfm=satterth;
      random baker(cr) fr*baker(cr) judge;
      lsmeans cr fr cr*fr;
      estimate ...
  • R Code

    o = lmer(y ˜ cr + fr + cr:fr + (1 | baker) + (1 | baker:fr) + (1 | judge))
    # cr %in% 1:2, fr %in% 1:2, baker %in% 1:4, judge %in% 1:8
  • ANOVA Table

Next to the text, the page also holds records of crystals.
- - -
PBE Al2ZnHg2, relaxed; final energy = -15.67 eV per cell; calculated volume = 223.3 Å³ per cell; total magnetization = 0.00 μB/atom; energy relative to the lowest polymorph listed for this composition = 147 meV per atom
1.0
4.2186 0.0000 0.0000
0.0000 4.2186 0.0000
0.0000 0.0000 12.5483
Al Zn Hg
4 2 4
Direct
0.0000 0.0000 0.1010
0.0000 0.0000 0.8990
0.5000 0.5000 0.3990
0.5000 0.5000 0.6010
0.0000 0.0000 0.5000
0.5000 0.5000 0.0000
0.0000 0.5000 0.2500
0.0000 0.5000 0.7500
0.5000 0.0000 0.2500
0.5000 0.0000 0.7500


PBE CaNdRh, relaxed; final energy = -30.66 eV per cell; calculated volume = 166.7 Å³ per cell; total magnetization = 0.00 μB/atom; energy relative to the lowest polymorph listed for this composition = 44 meV per atom
1.0
3.4960 0.0000 0.0000
1.7443 6.9080 0.0000
0.0056 1.7935 6.9044
Ca Nd Rh
2 2 2
Direct
0.1233 0.2525 0.0608
0.8767 0.7475 0.9392
0.1285 0.2430 0.5637
0.8715 0.7570 0.4363
0.5003 0.4992 0.2710
0.4997 0.5008 0.7290


PBE BaTcIr2, relaxed; final energy = -28.02 eV per cell; calculated volume = 82.0 Å³ per cell; total magnetization = 0.00 μB/atom; energy relative to the lowest polymorph listed for this composition = 403 meV per atom
1.0
2.8651 0.0000 0.0000
0.0000 3.8311 0.0000
0.0000 0.0000 7.4724
Ba Tc Ir
1 1 2
Direct
0.0000 0.0000 0.0000
0.5000 0.5000 0.6497
0.0000 0.0000 0.4976
0.5000 0.5000 0.3092


PBE Nb2GeP, relaxed; final energy = -91.80 eV per cell; calculated volume = 245.5 Å³ per cell; total magnetization = 0.00 μB/atom; energy relative to the lowest polymorph listed for this composition = 233 meV per atom
1.0
3.4619 0.0000 0.0000
-1.7310 2.9981 0.0000
0.0000 0.0000 23.6504
Nb Ge P
6 3 3
Direct
0.0000 0.0000 0.1090
0.0000 0.0000 0.8910
0.3333 0.6667 0.5577
0.3333 0.6667 0.7756
0.6667 0.3333 0.2244
0.6667 0.3333 0.4423
0.0000 0.0000 0.0000
0.3333 0.6667 0.6667
0.6667 0.3333 0.3333
0.0000 0.0000 0.5000
0.3333 0.6667 0.1667
0.6667 0.3333 0.8333


PBE Mg2IrAu, relaxed; final energy = -34.40 eV per cell; calculated volume = 130.6 Å³ per cell; total magnetization = 0.00 μB/atom
1.0
6.0567 0.0000 0.0000
0.0000 6.7384 0.0000
0.0000 0.0000 3.1998
Mg Ir Au
4 2 2
Direct
0.2500 0.2500 0.0000
0.2500 0.7500 0.0000
0.7500 0.2500 0.0000
0.7500 0.7500 0.0000
0.0000 0.0000 0.5000
0.5000 0.5000 0.5000
0.0000 0.5000 0.5000
0.5000 0.0000 0.5000


PBE V2Tc2W3, relaxed; final energy = -78.84 eV per cell; calculated volume = 104.6 Å³ per cell; total magnetization = 0.00 μB/atom
1.0
3.1025 0.0000 0.0000
1.5390 4.9172 0.0000
0.0023 0.9718 6.8551
V Tc W
2 2 3
Direct
0.1443 0.2120 0.4327
0.8557 0.7880 0.5673
0.4305 0.6385 0.2949
0.5695 0.3615 0.7051
0.0000 0.5000 0.0000
0.2850 0.9300 0.8515
0.7150 0.0700 0.1485


PBE LiTl2Cd, relaxed; final energy = -7.92 eV per cell; calculated volume = 97.8 Å³ per cell; total magnetization = 0.00 μB/atom
1.0
3.4145 0.0000 0.0000
0.0000 3.4145 0.0000
0.0000 0.0000 8.3907
Li Tl Cd
1 2 1
Direct
0.0000 0.0000 0.0000
0.0000 0.0000 0.5242
0.5000 0.5000 0.2186
0.5000 0.5000 0.8094
- - -

    Source DF
    cr 1
    baker(cr) 2
    fr 1
    cr\(\times\)fr 1
    fr\(\times\)baker(fr) 2
    judge 6
    error 2 15
Example 6:

Researchers are interested in determining ways to deter deer from eating ornamental plants. An experiment was conducted in eight fields. Within each field, four 15 meter x 15 meter squares of land were studied. Within each field, researchers used the the following procedure:

  • Two of the four squares were randomly selected to be planted with plant type 1. The other two squares were planted with plant type 2.
  • One of the two squares planted with plant type 1 was randomly selected, and a fence was placed around the selected square. The other plant type 1 square was not surrounded by a fence.
  • One of the two squares planted with plant type 2 was randomly selected, and a fence was placed around the selected square. The other plant type 2 square was not surrounded by a fence.
  • Each of the four squares was divided into two rectangles of equal size. One rectangle within each square was randomly selected, and the plants growing in that rectangle were treated with a chemical. The other rectangle in each square was not treated with a chemical.
  • At the conclusion of the study, the amount of living plant biomass was measured for each rectangle.

  • Notation

    • \(i = 1, 2\): plant types
    • \(j = 1, 2\): fences (yes, no)
    • \(k = 1, 2\) : chemicals (yes, no)
    • \(l = 1, \ldots, 8\): fields
  • Model \[ y_{ijkl} = \mu_{ijk} + f_l + s_{ijl} + e_{ijkl} \] where \(f_l \sim N(0, \sigma_f^2)\), \(s_{ijl} \sim N(0, \sigma_s^2)\), \(e_{ijkl} \sim N(0, \sigma_e^2)\).

  • ANOVA Table

    Source DF EMS
    field 7 \(8\sigma_f^2 + 2\sigma_s^2 + \sigma_e^2\)
    type 1
    fence 1
    ptype\(\times\)fence 1
    field\(\times\)ptype+field\(\times\)fence+field\(\times\)ptype\(\times\)fence (whole plot error) 21 \(2\sigma_s^2 + \sigma_e^2\)
    chem 1
    ptype\(\times\)chem 1
    fence\(\times\)chem 1
    ptype\(\times\)fence\(\times\)chem 1
    error = field\(\times\)chem+field\(\times\)ptype\(\times\)chem+field\(\times\)fence\(\times\)chem+field\(\times\)ptype\(\times\)fence\(\times\)chem (split-plot error) 28 \(\sigma_e^2\) 63
  • SAS Code

    proc mixed;
      class field ptype fence chem;
      model y=ptype|fence|chem/ddfm=satterth;random field field*ptype*fence;


  1. If a term like pot(tray) is specified, it should be the case that pots within each tray are replicates that are not treated differently within a tray
  2. For example, pot(tray) is correct for Example 3 but not for Example 2
  3. When levels of a factor B are different for each level of a factor A, we say that B is nested within A. In SAS, this is indicated by B(A). If C is nested within B, and B is nested within A, this is indicated by C(A B) in SAS. See for an example